-- To do --
Now duplicate everything below unchanged.
-- Listing --
____________
Starting from a PBE+U-relaxed structure, the X-ray diffraction stick pattern of K2RbTmV2O8 was simulated for Cu Kα (weighted mean of Kα1 and Kα2).

Largest 6 diffraction maxima, in order of rising 2θ, 2θ from 5° to 70°:
index, d [Å], intensity
1 0 0, 5.182, 40
1 0 1, 4.310, 26
0 1 2, 3.107, 100
1 1 0, 2.992, 87
2 0 2, 2.155, 48
1 2 2, 1.749, 36

Structure:
abc: 5.9834 5.9834 7.7647
angles: 90.00 90.00 120.00
Space group P-3m1 (No. 164)
Inequivalent atoms, fractional coordinates:
1 K 0.3333 0.6667 0.1962
2 Rb 0.0000 0.0000 0.5000
3 Tm 0.0000 0.0000 0.0000
4 V 0.3333 0.6667 0.7520
5 O 0.1735 0.3470 0.8309
6 O 0.3333 0.6667 0.5352

* * * * *

[1]
For Ac2Ag15Hg2, the PBE geometry in Alexandria gives the computed powder diffractogram in this record (a wavelength of 1.5418 Å).

```
data_Ac2Ag15Hg2
_chemical_formula_sum 'Ac2 Ag15 Hg2'
_symmetry_space_group_name_H-M 'P 1'
_symmetry_Int_Tables_number 1
_symmetry_space_group_name_Hall 'P 1'
_cell_length_a 7.4519
_cell_length_b 7.4519
_cell_length_c 7.4519
_cell_angle_alpha 83.15
_cell_angle_beta 83.15
_cell_angle_gamma 83.15
loop_
_atom_site_label
_atom_site_type_symbol
_atom_site_fract_x
_atom_site_fract_y
_atom_site_fract_z
Ac1 Ac 0.1535 0.1535 0.1535
Ac2 Ac 0.8465 0.8465 0.8465
Ag1 Ag 0.0000 0.5000 0.5000
Ag2 Ag 0.1506 0.1506 0.6600
Ag3 Ag 0.1506 0.6600 0.1506
Ag4 Ag 0.1956 0.5000 0.8044
Ag5 Ag 0.1956 0.8044 0.5000
Ag6 Ag 0.3400 0.8494 0.8494
Ag7 Ag 0.5000 0.0000 0.5000
Ag8 Ag 0.5000 0.1956 0.8044
Ag9 Ag 0.5000 0.5000 0.0000
Ag10 Ag 0.5000 0.8044 0.1956
Ag11 Ag 0.6600 0.1506 0.1506
Ag12 Ag 0.8044 0.1956 0.5000
Ag13 Ag 0.8044 0.5000 0.1956
Ag14 Ag 0.8494 0.3400 0.8494
Ag15 Ag 0.8494 0.8494 0.3400
Hg1 Hg 0.3957 0.3957 0.3957
Hg2 Hg 0.6043 0.6043 0.6043
```

Main lines, sorted by position (10° ≤ 2θ ≤ 90°):
2θ/deg  d_spacing  intensity
31.3  2.855  64
32.5  2.752  44
36.3  2.473  83
36.6  2.452  100
37.4  2.404  32
37.6  2.394  31
41.1  2.197  51
65.4  1.428  31

---

[2]
For AcAgHg4, the PBE geometry in Alexandria gives the computed powder diffractogram in this record (a wavelength of 1.5418 Å).

```
data_AcAgHg4
_chemical_formula_sum 'Ac2 Ag2 Hg8'
_symmetry_space_group_name_H-M 'P 1'
_symmetry_Int_Tables_number 1
_symmetry_space_group_name_Hall 'P 1'
_cell_length_a 8.9944
_cell_length_b 8.9944
_cell_length_c 7.2605
_cell_angle_alpha 90.00
_cell_angle_beta 90.00
_cell_angle_gamma 146.93
loop_
_atom_site_label
_atom_site_type_symbol
_atom_site_fract_x
_atom_site_fract_y
_atom_site_fract_z
Ac1 Ac 0.1480 0.8520 0.5000
Ac2 Ac 0.8520 0.1480 0.0000
Ag1 Ag 0.3242 0.6758 0.2934
Ag2 Ag 0.6758 0.3242 0.7934
Hg1 Hg 0.0450 0.9550 0.9263
Hg2 Hg 0.2174 0.7826 0.9829
Hg3 Hg 0.3491 0.6509 0.6873
Hg4 Hg 0.4781 0.5219 0.1371
Hg5 Hg 0.5219 0.4781 0.6371
Hg6 Hg 0.6509 0.3491 0.1873
Hg7 Hg 0.7826 0.2174 0.4829
Hg8 Hg 0.9550 0.0450 0.4263
```

Main lines, sorted by position (10° ≤ 2θ ≤ 90°):
2θ/deg  d_spacing  intensity
30.6  2.919  99
33.5  2.672  29
33.7  2.661  100
34.1  2.633  47
35.1  2.560  61
49.3  1.849  23
61.8  1.500  17
62.0  1.497  18

---

[3]
For AcAg2Hg3, the PBE geometry in Alexandria gives the computed powder diffractogram in this record (a wavelength of 1.5418 Å).

```
data_AcAg2Hg3
_chemical_formula_sum 'Ac2 Ag4 Hg6'
_symmetry_space_group_name_H-M 'P 1'
_symmetry_Int_Tables_number 1
_symmetry_space_group_name_Hall 'P 1'
_cell_length_a 9.0881
_cell_length_b 9.0881
_cell_length_c 8.2817
_cell_angle_alpha 117.08
_cell_angle_beta 117.08
_cell_angle_gamma 31.19
loop_
_atom_site_label
_atom_site_type_symbol
_atom_site_fract_x
_atom_site_fract_y
_atom_site_fract_z
Ac1 Ac 0.1375 0.1375 0.1378
Ac2 Ac 0.8625 0.8625 0.8622
Ag1 Ag 0.1903 0.1903 0.6903
Ag2 Ag 0.5000 0.5000 0.1629
Ag3 Ag 0.5000 0.5000 0.8371
Ag4 Ag 0.8097 0.8097 0.3097
Hg1 Hg 0.9997 0.9997 0.3311
Hg2 Hg 0.0003 0.0003 0.6689
Hg3 Hg 0.3287 0.3287 0.1285
Hg4 Hg 0.3289 0.3289 0.5286
Hg5 Hg 0.6711 0.6711 0.4714
Hg6 Hg 0.6713 0.6713 0.8715
```

Main lines, sorted by position (10° ≤ 2θ ≤ 90°):
2θ/deg  d_spacing  intensity
28.8  3.095  27
____________
-- Written answer --
Starting from a PBE+U-relaxed structure, the X-ray diffraction stick pattern of K2RbTmV2O8 was simulated for Cu Kα (weighted mean of Kα1 and Kα2).

Largest 6 diffraction maxima, in order of rising 2θ, 2θ from 5° to 70°:
index, d [Å], intensity
1 0 0, 5.182, 40
1 0 1, 4.310, 26
0 1 2, 3.107, 100
1 1 0, 2.992, 87
2 0 2, 2.155, 48
1 2 2, 1.749, 36

Structure:
abc: 5.9834 5.9834 7.7647
angles: 90.00 90.00 120.00
Space group P-3m1 (No. 164)
Inequivalent atoms, fractional coordinates:
1 K 0.3333 0.6667 0.1962
2 Rb 0.0000 0.0000 0.5000
3 Tm 0.0000 0.0000 0.0000
4 V 0.3333 0.6667 0.7520
5 O 0.1735 0.3470 0.8309
6 O 0.3333 0.6667 0.5352

* * * * *

[1]
For Ac2Ag15Hg2, the PBE geometry in Alexandria gives the computed powder diffractogram in this record (a wavelength of 1.5418 Å).

```
data_Ac2Ag15Hg2
_chemical_formula_sum 'Ac2 Ag15 Hg2'
_symmetry_space_group_name_H-M 'P 1'
_symmetry_Int_Tables_number 1
_symmetry_space_group_name_Hall 'P 1'
_cell_length_a 7.4519
_cell_length_b 7.4519
_cell_length_c 7.4519
_cell_angle_alpha 83.15
_cell_angle_beta 83.15
_cell_angle_gamma 83.15
loop_
_atom_site_label
_atom_site_type_symbol
_atom_site_fract_x
_atom_site_fract_y
_atom_site_fract_z
Ac1 Ac 0.1535 0.1535 0.1535
Ac2 Ac 0.8465 0.8465 0.8465
Ag1 Ag 0.0000 0.5000 0.5000
Ag2 Ag 0.1506 0.1506 0.6600
Ag3 Ag 0.1506 0.6600 0.1506
Ag4 Ag 0.1956 0.5000 0.8044
Ag5 Ag 0.1956 0.8044 0.5000
Ag6 Ag 0.3400 0.8494 0.8494
Ag7 Ag 0.5000 0.0000 0.5000
Ag8 Ag 0.5000 0.1956 0.8044
Ag9 Ag 0.5000 0.5000 0.0000
Ag10 Ag 0.5000 0.8044 0.1956
Ag11 Ag 0.6600 0.1506 0.1506
Ag12 Ag 0.8044 0.1956 0.5000
Ag13 Ag 0.8044 0.5000 0.1956
Ag14 Ag 0.8494 0.3400 0.8494
Ag15 Ag 0.8494 0.8494 0.3400
Hg1 Hg 0.3957 0.3957 0.3957
Hg2 Hg 0.6043 0.6043 0.6043
```

Main lines, sorted by position (10° ≤ 2θ ≤ 90°):
2θ/deg  d_spacing  intensity
31.3  2.855  64
32.5  2.752  44
36.3  2.473  83
36.6  2.452  100
37.4  2.404  32
37.6  2.394  31
41.1  2.197  51
65.4  1.428  31

---

[2]
For AcAgHg4, the PBE geometry in Alexandria gives the computed powder diffractogram in this record (a wavelength of 1.5418 Å).

```
data_AcAgHg4
_chemical_formula_sum 'Ac2 Ag2 Hg8'
_symmetry_space_group_name_H-M 'P 1'
_symmetry_Int_Tables_number 1
_symmetry_space_group_name_Hall 'P 1'
_cell_length_a 8.9944
_cell_length_b 8.9944
_cell_length_c 7.2605
_cell_angle_alpha 90.00
_cell_angle_beta 90.00
_cell_angle_gamma 146.93
loop_
_atom_site_label
_atom_site_type_symbol
_atom_site_fract_x
_atom_site_fract_y
_atom_site_fract_z
Ac1 Ac 0.1480 0.8520 0.5000
Ac2 Ac 0.8520 0.1480 0.0000
Ag1 Ag 0.3242 0.6758 0.2934
Ag2 Ag 0.6758 0.3242 0.7934
Hg1 Hg 0.0450 0.9550 0.9263
Hg2 Hg 0.2174 0.7826 0.9829
Hg3 Hg 0.3491 0.6509 0.6873
Hg4 Hg 0.4781 0.5219 0.1371
Hg5 Hg 0.5219 0.4781 0.6371
Hg6 Hg 0.6509 0.3491 0.1873
Hg7 Hg 0.7826 0.2174 0.4829
Hg8 Hg 0.9550 0.0450 0.4263
```

Main lines, sorted by position (10° ≤ 2θ ≤ 90°):
2θ/deg  d_spacing  intensity
30.6  2.919  99
33.5  2.672  29
33.7  2.661  100
34.1  2.633  47
35.1  2.560  61
49.3  1.849  23
61.8  1.500  17
62.0  1.497  18

---

[3]
For AcAg2Hg3, the PBE geometry in Alexandria gives the computed powder diffractogram in this record (a wavelength of 1.5418 Å).

```
data_AcAg2Hg3
_chemical_formula_sum 'Ac2 Ag4 Hg6'
_symmetry_space_group_name_H-M 'P 1'
_symmetry_Int_Tables_number 1
_symmetry_space_group_name_Hall 'P 1'
_cell_length_a 9.0881
_cell_length_b 9.0881
_cell_length_c 8.2817
_cell_angle_alpha 117.08
_cell_angle_beta 117.08
_cell_angle_gamma 31.19
loop_
_atom_site_label
_atom_site_type_symbol
_atom_site_fract_x
_atom_site_fract_y
_atom_site_fract_z
Ac1 Ac 0.1375 0.1375 0.1378
Ac2 Ac 0.8625 0.8625 0.8622
Ag1 Ag 0.1903 0.1903 0.6903
Ag2 Ag 0.5000 0.5000 0.1629
Ag3 Ag 0.5000 0.5000 0.8371
Ag4 Ag 0.8097 0.8097 0.3097
Hg1 Hg 0.9997 0.9997 0.3311
Hg2 Hg 0.0003 0.0003 0.6689
Hg3 Hg 0.3287 0.3287 0.1285
Hg4 Hg 0.3289 0.3289 0.5286
Hg5 Hg 0.6711 0.6711 0.4714
Hg6 Hg 0.6713 0.6713 0.8715
```

Main lines, sorted by position (10° ≤ 2θ ≤ 90°):
2θ/deg  d_spacing  intensity
28.8  3.095  27